Input =
-- begin --
Computed PXRD pattern
Compound: Mg10FeO11
Radiation: Cu Kα (weighted mean of Kα1 and Kα2)
Structure: a DFT-relaxed cell (PBE+U, Alexandria)
Peak positions follow from Bragg's law for the DFT cell and can differ from measured ones.

Atomic structure:
Lattice parameters (Å, degrees): 5.2184 6.7599 6.7645 107.47 105.02 97.70
Element x y z (fractional)
1 Mg 0.0469 0.4088 0.1840
2 Mg 0.1367 0.2265 0.5436
3 Mg 0.2268 0.0459 0.9092
4 Mg 0.3206 0.8637 0.2728
5 Mg 0.4088 0.6821 0.6385
6 Mg 0.5912 0.3179 0.3615
7 Mg 0.6794 0.1363 0.7272
8 Mg 0.7732 0.9541 0.0908
9 Mg 0.8633 0.7735 0.4564
10 Mg 0.9531 0.5912 0.8160
11 Fe 0.5000 0.5000 0.0000
12 O 0.0000 0.5000 0.5000
13 O 0.0893 0.3184 0.8634
14 O 0.1824 0.1364 0.2267
15 O 0.2716 0.9560 0.5910
16 O 0.3590 0.7785 0.9531
17 O 0.4531 0.5938 0.3257
18 O 0.5469 0.4062 0.6743
19 O 0.6410 0.2215 0.0469
20 O 0.7284 0.0440 0.4090
21 O 0.8176 0.8636 0.7733
22 O 0.9107 0.6816 0.1366

Main lines, most intense first (10° ≤ 2θ ≤ 90°):
Position (°2θ)	I/Imax
42.2	100.0
61.5	55.9
42.5	49.2
61.3	28.2
77.4	25.3
36.5	23.4
73.4	9.3
73.9	4.6
14.1	3.3
14.5	3.1
16.3	2.2
18.1	2.1

=====

Ho5Se4N: computed X-ray diffraction stick pattern (Cu Ka), based on a GGA-PBE-relaxed structure.

Main lines, sorted by position (2θ = 10–80°):
d [Å], 2θ (°), I (rel.)
3.237, 27.6, 37.6
2.853, 31.4, 29.3
2.779, 32.2, 100.0
2.467, 36.4, 39.7
1.991, 45.6, 41.3
1.965, 46.2, 36.6
1.618, 56.9, 21.3
1.537, 60.2, 18.6
1.403, 66.7, 19.4
1.243, 76.7, 16.3

Structure:
a = 14.532 Å, b = 14.532 Å, c = 14.532 Å
α = 164.46°, β = 164.46°, γ = 22.05°
Fractional positions:
Ho1 0.000 0.000 0.000
Ho2 0.207 0.207 0.000
Ho3 0.421 0.421 0.000
Ho4 0.579 0.579 0.000
Ho5 0.793 0.793 0.000
Se1 0.100 0.100 0.000
Se2 0.309 0.309 0.000
Se3 0.691 0.691 0.000
Se4 0.900 0.900 0.000
N1 0.500 0.500 0.000

=====

Computed X-ray diffraction stick pattern of CeUB12 for Cu Ka, from the GGA-PBE geometry in Alexandria.
No peak broadening, texture or thermal motion is included.

The 8 most intense peaks (2θ = 10–90°), sorted by position:
(hkl)	two_theta	I_rel
1 0 0	21.7	74.5
1 1 0	30.9	100.0
1 1 2	38.1	42.0
2 0 0	44.3	21.2
2 1 0	49.8	51.3
2 1 2	55.0	30.4
2 2 2	68.9	28.4
3 1 0	73.2	20.3

Crystal structure
Cell: 4.0912 4.0912 8.1809 Å, 90.00 90.00 90.00°
Fractional coordinates of all 14 atoms:
Ce (0.0000, 0.0000, 0.0000)
U (0.0000, 0.0000, 0.5000)
B (0.1978, 0.5000, 0.2515)
B (0.1978, 0.5000, 0.7485)
B (0.5000, 0.1978, 0.2515)
B (0.5000, 0.1978, 0.7485)
B (0.5000, 0.5000, 0.0997)
B (0.5000, 0.5000, 0.4018)
B (0.5000, 0.5000, 0.5982)
B (0.5000, 0.5000, 0.9003)
B (0.5000, 0.8022, 0.2515)
B (0.5000, 0.8022, 0.7485)
B (0.8022, 0.5000, 0.2515)
B (0.8022, 0.5000, 0.7485)

=====

Record 1
Diffraction record for NaCaZrSbO6. The X-ray diffraction stick pattern is theoretical, not measured: it uses DFT lattice parameters and positions (GGA-PBE) and Cu Kα X-rays.
Peak positions follow from Bragg's law for the DFT cell and can differ from measured ones.

abc: 8.1209 8.1209 8.1209
angles: 90.00 90.00 90.00
Space group F-43m (No. 216)
One atom of each set of equivalent atoms:
Na 0.0000 0.0000 0.0000 (multiplicity 4)
Ca 0.0000 0.0000 0.5000 (multiplicity 4)
Zr 0.2500 0.2500 0.2500 (multiplicity 4)
Sb 0.2500 0.2500 0.7500 (multiplicity 4)
O 0.0062 0.2500 0.7500 (multiplicity 24)

Most intense lines, 2θ = 15–90°, by angle:
- d 4.060, 2θ = 21.9°, I = 66.8, hkl 2 0 0
- d 2.871, 2θ = 31.2°, I = 100.0, hkl 2 2 0
- d 2.030, 2θ = 44.6°, I = 41.1, hkl 4 0 0
- d 1.816, 2θ = 50.2°, I = 26.7, hkl 4 2 0
- d 1.658, 2θ = 55.4°, I = 38.6, hkl 4 2 2
- d 1.436, 2θ = 65.0°, I = 23.6, hkl 4 4 0
- d 1.353, 2θ = 69.4°, I = 12.1, hkl 6 0 0
- d 1.284, 2θ = 73.8°, I = 16.4, hkl 6 2 0
- d 1.172, 2θ = 82.2°, I = 7.6, hkl 4 4 4
- d 1.126, 2θ = 86.4°, I = 5.5, hkl 6 4 0

Record 2
Diffraction record for ErAl2Zn10. The X-ray diffraction stick pattern is theoretical, not measured: it uses DFT lattice parameters and positions (GGA-PBE) and Cu Kα X-rays.
-- stop --
Activity =
Your job: return everything further up without altering anything.
Reply =
Computed PXRD pattern
Compound: Mg10FeO11
Radiation: Cu Kα (weighted mean of Kα1 and Kα2)
Structure: a DFT-relaxed cell (PBE+U, Alexandria)
Peak positions follow from Bragg's law for the DFT cell and can differ from measured ones.

Atomic structure:
Lattice parameters (Å, degrees): 5.2184 6.7599 6.7645 107.47 105.02 97.70
Element x y z (fractional)
1 Mg 0.0469 0.4088 0.1840
2 Mg 0.1367 0.2265 0.5436
3 Mg 0.2268 0.0459 0.9092
4 Mg 0.3206 0.8637 0.2728
5 Mg 0.4088 0.6821 0.6385
6 Mg 0.5912 0.3179 0.3615
7 Mg 0.6794 0.1363 0.7272
8 Mg 0.7732 0.9541 0.0908
9 Mg 0.8633 0.7735 0.4564
10 Mg 0.9531 0.5912 0.8160
11 Fe 0.5000 0.5000 0.0000
12 O 0.0000 0.5000 0.5000
13 O 0.0893 0.3184 0.8634
14 O 0.1824 0.1364 0.2267
15 O 0.2716 0.9560 0.5910
16 O 0.3590 0.7785 0.9531
17 O 0.4531 0.5938 0.3257
18 O 0.5469 0.4062 0.6743
19 O 0.6410 0.2215 0.0469
20 O 0.7284 0.0440 0.4090
21 O 0.8176 0.8636 0.7733
22 O 0.9107 0.6816 0.1366

Main lines, most intense first (10° ≤ 2θ ≤ 90°):
Position (°2θ)	I/Imax
42.2	100.0
61.5	55.9
42.5	49.2
61.3	28.2
77.4	25.3
36.5	23.4
73.4	9.3
73.9	4.6
14.1	3.3
14.5	3.1
16.3	2.2
18.1	2.1

=====

Ho5Se4N: computed X-ray diffraction stick pattern (Cu Ka), based on a GGA-PBE-relaxed structure.

Main lines, sorted by position (2θ = 10–80°):
d [Å], 2θ (°), I (rel.)
3.237, 27.6, 37.6
2.853, 31.4, 29.3
2.779, 32.2, 100.0
2.467, 36.4, 39.7
1.991, 45.6, 41.3
1.965, 46.2, 36.6
1.618, 56.9, 21.3
1.537, 60.2, 18.6
1.403, 66.7, 19.4
1.243, 76.7, 16.3

Structure:
a = 14.532 Å, b = 14.532 Å, c = 14.532 Å
α = 164.46°, β = 164.46°, γ = 22.05°
Fractional positions:
Ho1 0.000 0.000 0.000
Ho2 0.207 0.207 0.000
Ho3 0.421 0.421 0.000
Ho4 0.579 0.579 0.000
Ho5 0.793 0.793 0.000
Se1 0.100 0.100 0.000
Se2 0.309 0.309 0.000
Se3 0.691 0.691 0.000
Se4 0.900 0.900 0.000
N1 0.500 0.500 0.000

=====

Computed X-ray diffraction stick pattern of CeUB12 for Cu Ka, from the GGA-PBE geometry in Alexandria.
No peak broadening, texture or thermal motion is included.

The 8 most intense peaks (2θ = 10–90°), sorted by position:
(hkl)	two_theta	I_rel
1 0 0	21.7	74.5
1 1 0	30.9	100.0
1 1 2	38.1	42.0
2 0 0	44.3	21.2
2 1 0	49.8	51.3
2 1 2	55.0	30.4
2 2 2	68.9	28.4
3 1 0	73.2	20.3

Crystal structure
Cell: 4.0912 4.0912 8.1809 Å, 90.00 90.00 90.00°
Fractional coordinates of all 14 atoms:
Ce (0.0000, 0.0000, 0.0000)
U (0.0000, 0.0000, 0.5000)
B (0.1978, 0.5000, 0.2515)
B (0.1978, 0.5000, 0.7485)
B (0.5000, 0.1978, 0.2515)
B (0.5000, 0.1978, 0.7485)
B (0.5000, 0.5000, 0.0997)
B (0.5000, 0.5000, 0.4018)
B (0.5000, 0.5000, 0.5982)
B (0.5000, 0.5000, 0.9003)
B (0.5000, 0.8022, 0.2515)
B (0.5000, 0.8022, 0.7485)
B (0.8022, 0.5000, 0.2515)
B (0.8022, 0.5000, 0.7485)

=====

Record 1
Diffraction record for NaCaZrSbO6. The X-ray diffraction stick pattern is theoretical, not measured: it uses DFT lattice parameters and positions (GGA-PBE) and Cu Kα X-rays.
Peak positions follow from Bragg's law for the DFT cell and can differ from measured ones.

abc: 8.1209 8.1209 8.1209
angles: 90.00 90.00 90.00
Space group F-43m (No. 216)
One atom of each set of equivalent atoms:
Na 0.0000 0.0000 0.0000 (multiplicity 4)
Ca 0.0000 0.0000 0.5000 (multiplicity 4)
Zr 0.2500 0.2500 0.2500 (multiplicity 4)
Sb 0.2500 0.2500 0.7500 (multiplicity 4)
O 0.0062 0.2500 0.7500 (multiplicity 24)

Most intense lines, 2θ = 15–90°, by angle:
- d 4.060, 2θ = 21.9°, I = 66.8, hkl 2 0 0
- d 2.871, 2θ = 31.2°, I = 100.0, hkl 2 2 0
- d 2.030, 2θ = 44.6°, I = 41.1, hkl 4 0 0
- d 1.816, 2θ = 50.2°, I = 26.7, hkl 4 2 0
- d 1.658, 2θ = 55.4°, I = 38.6, hkl 4 2 2
- d 1.436, 2θ = 65.0°, I = 23.6, hkl 4 4 0
- d 1.353, 2θ = 69.4°, I = 12.1, hkl 6 0 0
- d 1.284, 2θ = 73.8°, I = 16.4, hkl 6 2 0
- d 1.172, 2θ = 82.2°, I = 7.6, hkl 4 4 4
- d 1.126, 2θ = 86.4°, I = 5.5, hkl 6 4 0

Record 2
Diffraction record for ErAl2Zn10. The X-ray diffraction stick pattern is theoretical, not measured: it uses DFT lattice parameters and positions (GGA-PBE) and Cu Kα X-rays.